Only rather recently did I see this movie and I was surprised by the quality of it’s story. I thought Wall-E was geared for younger minds, so I didn’t get around to seeing it until word of mouth reached me. The plot takes a few leaps into a near-fantasy realm but it still retains a fascinating plausibility. Talking about the full scale of this movie would be difficult, so I’m just going to comment on a few scenes that I think are worth reflecting on.
** Spoiler Alert **
Sorry folks, there’s no way around this. Stop reading if you haven’t seen this movie. WALL-E is a masterpiece and I don’t want to spoil anyone’s enjoyment.
In the beginning scenes, a large spacecraft lands and deposits a robotic probe. The ship seems to waste a staggering amount of fuel, just to drop one robot on the surface. The ship has a module sprout from a compartment to place the probe and has a robotic arm that seems to serve no other purpose than to press buttons on the case of the probe. It’s established that a faster-than-light drive exists, but scenes of this ship travelling in space suggest this ship is a sleeper-vessel. This means the trip could take far longer than is suggested, the passage of which would mean little for the robots. I think the way this operation is so compartmentalized, wasteful and slow-moving is the filmmaker’s way of commenting on the way modern corporations operate.
On board the Axiom is a population of humans who have been deeply conditioned by a long period of being in space. The Axiom is a project by the Buy & Large corporation, mostly managed by robotic staff which handles the population’s needs. It’s evidenced that everything the humans interact with are produced from B&L and that their education is controlled. We see that subjects as basic as farming are unknown, and that the ship’s Captain learned about it by fluke chance. The scale of control strongly suggests that the population is being conditioned by a social engineering program. It’s also interesting to consider that the Axiom is just one of many ships, with varying degrees of socially engineered populations.
When on board the Axiom, WALL-E meets two minor characters, John and Mary. Wall-E’s odd behaviour breaks them out of their regular routines. They seems pleasantly curious about the robot, I find this isn’t much different from people’s reaction when admiring wildlife. Mary is later seen stargazing while others file past. She sees the two robots embraced in dance and recognizes WALL-E, she excitedly shows the first person to pass by, which happened to be John. They watch the robots move through the sea of stars and a moment of intimacy is shared between them. It suggests to me that despite being in the grip of social engineering, they are still capable of sharing compassion for each other and their seemingly lifeless robotic servants, as though there are parts of ourselves that can’t ever be truly controlled. They both seemed more aware of their surroundings after encountering WALL-E, I doubt Mary would have been stargazing or that John would have been as invested had WALL-E not bumped into them.
What comes next are crystal structures, not part of the entry:
=====
*i*
Ba2MgNbVO6 | PBE+U | relaxed

Unit cell a=6.090 b=6.090 c=6.538 alpha=116.93 beta=116.93 gamma=60.26
Positions (direct):
Ba  0.000  0.000  0.000
Ba  0.576  0.576  0.715
Mg  0.212  0.212  0.634
Nb  0.788  0.788  0.363
V  0.377  0.377  0.134
O  0.010  0.554  0.122
O  0.017  0.017  0.583
O  0.017  0.557  0.594
O  0.554  0.010  0.122
O  0.557  0.017  0.594
O  0.558  0.558  0.129

Properties
* total magnetization: 3.97 μB/cell
* space group: Cm, No. 8



*ii*
Ba2MgNbVO6 | PBE+U | relaxed

Unit cell a=6.342 b=6.342 c=6.342 alpha=124.73 beta=123.99 gamma=82.60
Positions (direct):
Ba  0.189  0.189  0.000
Ba  0.811  0.811  0.000
Mg  0.500  0.500  0.000
Nb  0.000  0.500  0.500
V  0.500  0.000  0.500
O  0.217  0.717  0.500
O  0.261  0.260  0.521
O  0.261  0.740  0.002
O  0.739  0.260  0.998
O  0.739  0.740  0.479
O  0.783  0.283  0.500

Properties
* total magnetization: 2.02 μB/cell
* space group: Immm, No. 71



Here is how they stack up, most stable first: *i*, *ii*.



*i*
BaMgNi4O8 | PBE+U | relaxed

Unit cell a=5.858 b=5.858 c=6.420 alpha=116.15 beta=116.15 gamma=64.21
Positions (direct):
Ba  0.000  0.000  0.000
Mg  0.500  0.500  0.000
Ni  0.000  0.000  0.500
Ni  0.000  0.500  0.500
Ni  0.500  0.000  0.500
Ni  0.500  0.500  0.500
O  0.242  0.242  0.694
O  0.253  0.701  0.698
O  0.284  0.284  0.323
O  0.299  0.747  0.302
O  0.701  0.253  0.698
O  0.716  0.716  0.677
O  0.747  0.299  0.302
O  0.758  0.758  0.306

Properties
* total magnetization: 4.00 μB/cell
* space group: C2/m, No. 12



*ii*
BaMgNi4O8 | PBE+U | relaxed

Unit cell a=5.941 b=5.941 c=6.583 alpha=116.86 beta=116.86 gamma=59.99
Positions (direct):
Ba  0.000  0.000  0.000
Mg  0.647  0.647  0.939
Ni  0.495  0.495  0.486
Ni  0.497  0.999  0.495
Ni  0.999  0.497  0.495
Ni  0.999  0.999  0.494
O  0.218  0.218  0.658
O  0.265  0.713  0.691
O  0.284  0.284  0.315
O  0.284  0.746  0.315
O  0.713  0.265  0.691
O  0.713  0.713  0.691
O  0.746  0.284  0.315
O  0.768  0.768  0.303

Properties
* total magnetization: 4.00 μB/cell
* space group: Cm, No. 8



Here is how they stack up, most stable first: *ii*, *i*.

----------

Compound: MgIr2
Source: the Materials Project
Functional: GGA-PBE
Structure: optimized geometry

Properties
**Electronic total energy**: -6.73 eV per atom

Geometry as CIF:
```
data_MgIr2
_chemical_formula_sum 'Mg4 Ir8'
_cell_length_a 5.2125
_cell_length_b 5.2125
_cell_length_c 8.4530
_cell_angle_alpha 90.00
_cell_angle_beta 90.00
_cell_angle_gamma 120.00
_space_group_name_H-M_alt 'P 63/m m c'
_space_group_IT_number 194
_space_group_name_Hall '-P 6c 2c'
loop_
_atom_site_label
_atom_site_fract_x
_atom_site_fract_y
_atom_site_fract_z
_atom_site_occupancy
Mg1 0.3333 0.6667 0.0694 1
Ir1 0.0000 0.0000 0.0000 1
Ir2 0.1719 0.3437 0.7500 1
```
=====
Wall-E seems to be a pretty old robot, about 700 years by my estimate. So I found it interesting that two industrial-sized Wall-E work in the bowels of the ship, managing waste. They realize they almost threw two friendly robots out the airlock and they help Eve repair Wall-E by halting operations and shining lights on them. I wonder how long the pair have been alone together below deck and if there is any unspoken intimacy between these two monstrous looking robots.
During that scene, Wall-E hands Eve the plant for her to complete her programmed directive. She seems disillusioned by her earlier attempts to finish the assignment, when her fellow robots worked against that goal and tried to kill Wall-E. She holds the plant and stares at it silently, this reflects an earlier scene with Wall-E doing the same with a compacted cube of waste he created. The robots seem to be weighing the value of their contributions and perhaps, themselves.
My thoughts are that Wall-E was simply following his desires and along the way he influenced the behaviour of other robots. The message I get here is that we shouldn’t underestimate the influential effect we have on each other, the other side of that coin being the threat of allowing corporate influence with veiled motivations to creep into our lives.
I actually really enjoyed this movie. He (Wall-E) was an extremely personable robot considering that he didn’t speak throughout the film. The dance sequence was really cool too & the gradual growth of feelings between Wall-E and Eve … really well done. It’s actually quite amazing how much human emotion these animated films are able to make you feel!